Why The Incarceration Of Sahara Chief Roy Was A Legal Necessity

'''
Molecular formula: C5H10O
Method: DFT, ωB97M-V/def2-TZVPD

## Properties
- ΔE to the lowest compared entry with this formula, charge and spin: 39.7 kcal per mole
- Gap between HOMO and LUMO: 0.3915 Ha
- HOMO level: -0.3598 Ha

Atoms and positions in Å:
C (1.81870, 0.02835, 0.20630)
C (0.97331, -0.25185, -0.78422)
C (0.01292, 0.73706, -1.38343)
C (-1.43235, 0.42700, -0.97697)
H (1.90107, 1.03484, 0.61360)
H (2.44226, -0.73435, 0.66306)
H (0.92226, -1.27346, -1.16411)
H (0.08956, 0.72976, -2.47877)
H (0.28121, 1.74795, -1.05253)
H (-1.51956, 0.36132, 0.11353)
H (-2.11786, 1.20939, -1.31651)
H (-1.77139, -0.52848, -1.39348)
C (-0.40018, -0.86966, 2.23321)
O (0.47379, -1.38767, 2.87949)
H (-1.06214, -1.44811, 1.55899)
H (-0.61161, 0.21791, 2.28183)

natural (NBO) atomic charge list, values in e, 8 entries: C -0.400; C -0.177; C -0.441; C -0.595; H 0.190; H 0.210; H 0.196; H 0.210

***

Molecular formula: C4H5N
Method: DFT, ωB97M-V/def2-TZVPD

## Properties
- ΔE to the lowest compared entry with this formula, charge and spin: 52.7 kcal per mole
- Gap between HOMO and LUMO: 0.3933 Ha
- HOMO level: -0.3552 Ha

Atoms and positions in Å:
C (-0.05869, -1.20855, -0.04987)
C (-1.16373, -0.48352, 0.02784)
C (0.81137, -0.06668, -0.10995)
C (-0.49656, 0.83019, -0.04975)
N (2.04246, 0.12239, 0.02861)
H (-0.00879, -2.23113, -0.00973)
H (-2.14665, -0.83343, 0.09989)
H (-0.58762, 1.43537, -0.85032)
H (-0.65789, 1.33017, 0.82045)
H (2.26610, 1.10519, 0.09283)

natural (NBO) atomic charge list, values in e, 8 entries: C -0.264; C -0.099; C 0.305; C -0.491; N -0.614; H 0.208; H 0.204; H 0.207

***

Molecular formula: C16H15F11NO7PS2
Method: DFT, ωB97M-V/def2-TZVPD

## Properties
- Gap between HOMO and LUMO: 0.2947 Ha
- HOMO level: -0.3520 Ha

Atoms and positions in Å:
O (0.70970, -2.82285, -4.22281)
C (-0.16666, -1.93445, -4.16796)
F (-1.35858, -2.14879, -4.90881)
C (0.09351, -0.62870, -3.24144)
C (-0.99582, -0.58077, -2.01958)
C (-0.09042, -0.53057, -0.67900)
C (-0.81869, 0.12403, 0.59486)
C (-0.31515, -0.49380, 2.01241)
F (0.86405, -1.27610, 1.88633)
F (0.10323, 0.67756, 2.76577)
C (-1.48002, -1.15735, 2.88284)
F (-2.71476, -0.43635, 2.84204)
F (-1.05597, -1.07116, 4.25772)
S (-1.85421, -2.95572, 2.55370)
F (-3.37874, -2.49097, 1.95741)
F (-1.29749, -2.92730, 0.98516)
F (-0.41721, -3.49697, 3.19173)
F (-2.58072, -3.04630, 4.07670)
F (-2.28459, -4.55158, 2.32231)
O (-1.42624, -1.99567, -2.01307)
C (-2.82532, -2.19754, -1.82921)
O (-3.40470, -3.29250, -1.74081)
C (-3.40977, -0.69315, -1.82788)
F (-4.48910, -0.80699, -2.80192)
C (-2.25224, 0.40911, -2.16576)
P (-2.47189, 1.45227, -3.72536)
O (-4.13415, 1.89502, -3.89875)
O (-2.04850, 0.66993, -5.17083)
S (-1.50471, 3.14180, -3.43893)
H (1.15962, -0.78500, -2.82413)
H (0.13026, 0.34087, -3.84229)
H (0.30787, -1.58809, -0.52020)
H (0.80185, 0.16283, -0.93213)
H (-1.95615, 0.05484, 0.52119)
H (-0.56912, 1.25334, 0.56675)
H (-3.73088, -0.57756, -0.71979)
H (-2.40340, 1.20188, -1.33643)
H (-4.62508, 1.66652, -3.07482)
'''
End of the calculated molecules:
NEW DELHI: February,2014: it was late afternoon and the corridors of the Supreme Court wore an empty look. A group of gentlemen from Sahara India rushed past, one repeating, “they cannot send Sahara Sri to jail!” while another named prominent people who owed them a favour. Later one came to know that the Supreme Court had issued a non-bailable warrant against Subrata Roy. Over the next few months, the Court would witness one of the most hostile and dramatic hearings in recent times.
On March 4, 2014 (now referred to as the detention order), amidst much drama Roy was produced in the Supreme Court of India. He told the bench of Justice K.S. Radhakrishnan and J.S. Kehar his story about the Sahara Family (what others see as a multi billion dollar corporation) and why that should change their mind on the company’s alleged contempt of court. The humane side of Sahara incorporated didn’t impress the Bench. The court found that Roy and others had been given ample chances to comply with orders. Yet the accused had chosen dilatory tactics to delay implementing court instructions.
How did one of the most influential persons in our country get into this situation? In 2012 a three-judge bench (Chief Justice Altamas Kabir, Justice SS. Nijjar and Justice Chelameswar) of the Supreme Court upheld the findings of SEBI and SAT (Securities Appellate Tribunal) and held two Sahara companies (Sahara India Real Estate Corporation Ltd and Sahara Housing Investment Corporation) guilty of floating fictitious deposit schemes. The companies were asked to refund Rs 10,000 crores to the investors. The enterprises failed to deposit this amount and were found to be in contempt of court. Two years on, the detention order came to be passed against Roy.
This detention order was challenged on March 12, 2014 by Sahara asking that this order be declared null and void in law and that the custody of Roy should be declared illegal. This petition was mentioned in the Chief Justice’s court and an early hearing was requested. The matter came up for hearing in front of Justice K.S. Radhakrishnan and J.S. Justice Khehar.
At the very outset, Ram Jethmalani appearing for Roy requested that the judges should recuse themselves. The senior lawyer submitted that the nature of arguments were such that it would be embarrassing for the judges. He also articulated his client’s apprehension of prejudice.
The Bench felt that recusal in this case would violate their oath to office. The oath mandates them to perform their duty without fear or favour, affection or ill will. They asked why should there be any bias? To which Dhavan asked that is it not possible that the court might have made a mistake serious enough to give the presumption of bias even if it did not as such exist?
Arvind Datar appearing for SEBI argued vociferously against this request for recusal. He went on to say that in his entire career he had never seen a petition signed by 5 senior counsels of such imminence (the five included Ravi Shankar Prasad and Ram Jethmalani). The Bench decided to hear the petition as listed by the Court registry.
The petition raised the following issues, (a) the order violated article 21 (right to life) of the constitution. The accused without having been given a hearing was sent to jail, this was a contrary to the principle of natural justice. (b) Whether the court had correctly followed the law as per the Civil Procedure Code, 1908 (Section 51, Order 21 Rule 37 and 40). That the aforesaid provisions provide procedural steps to be followed before putting the judgment debtor in prison. Including issuing show cause notice and allowing the debtor to lead evidence on why he should not be committed to prison. (c) Violated order XIII Rule 6 of the Supreme Court rules 1966, wherein in this court could not exercise power as an executing authority when dealing with an order passed by them previously in appeal (that is the order demanding refund to investors).
The bench rejected the above propositions of law and also found the petition as being not maintainable (that there is no provision in procedural or constitutional law that justifies the legal nature of such a petition).
The Court was clear that first, disobedience of court orders strikes at the very root of rule of law. Defiance of judicial orders would lead to the breakdown of constitutional machinery. Second, the contemnor was well aware of the consequences of repeatedly defying court orders. Several opportunities were given to the petitioners to respond to the contempt petition (25 dates of hearing).
### Someone pasted data records at this point
(1)
54
Properties=species:S:1:pos:R:3:forces:R:3 method="wB97M-V/def2-TZVPD" lumo_energy_ev="-6.37 / -9.00" homo_lumo_gap_ha="0.240 / 0.216" molar_mass_g_mol=495.7 e_above_lowest_ev=0.000 spin_multiplicity=5 homo_energy_ev="-12.9 / -14.9" s_squared=6.07 total_charge=+2
C -0.296869 3.113623 -3.575387 -0.3 -0.2 0.0
C 0.821955 2.946034 -2.756332 0.2 0.2 0.6
C 0.828563 2.111658 -1.624151 -0.7 0.2 -1.1
C -0.343823 1.335451 -1.405562 0.5 1.0 0.3
C -1.520942 1.614755 -2.138709 0.7 0.7 -1.0
C -1.470244 2.451151 -3.261451 -0.1 0.1 -0.1
C 2.168919 1.947465 -0.957583 0.7 0.3 -0.3
C 2.504757 2.033320 0.573108 1.0 -0.9 -0.1
N 1.707920 2.669531 1.573379 -1.7 -0.9 -0.4
Os -0.705933 -0.662552 -1.278727 1.9 0.5 0.0
C -2.818952 0.927676 -1.850169 -0.5 -1.2 0.8
P -2.575970 -0.073587 -0.286082 -2.3 0.5 -0.3
H 1.740788 3.470218 -3.028610 -0.3 -0.1 0.1
H -2.367051 2.515762 -3.884653 0.3 0.3 0.2
H -0.250694 3.757004 -4.451462 0.1 -0.2 0.2
H -3.127145 0.248225 -2.655766 -0.1 0.3 0.0
H -3.642599 1.611025 -1.607615 0.1 0.1 -0.4
H 2.580082 0.970989 -1.273188 -0.1 0.3 0.3
H 2.843679 2.689673 -1.413977 -0.4 -0.3 0.0
H 2.708810 1.007676 0.918587 0.0 0.5 0.1
C -3.934221 -1.283031 -0.220390 0.1 0.0 0.3
C -2.917262 1.271496 0.902610 0.4 -0.3 0.4
H 3.468504 2.582362 0.601594 -0.2 -0.3 0.1
C 0.929381 3.842742 1.301380 -0.3 0.7 -0.4
C 1.287815 1.856842 2.691738 0.0 -0.3 0.9
H -0.568980 -1.438267 -2.953810 1.3 0.6 -0.8
H 1.299683 4.693384 1.904257 -0.1 -0.3 -0.2
H 0.979926 4.093788 0.235239 0.1 0.0 0.3
H -0.130799 3.673644 1.578581 0.6 0.0 0.0
H 0.838700 2.478616 3.477243 0.2 -0.1 -0.3
H 0.531251 1.095122 2.381159 0.4 0.5 -0.2
H 2.143914 1.300637 3.099445 -0.2 0.2 -0.1
H -3.989756 1.520948 0.878252 0.3 -0.2 0.1
H -2.617261 0.947730 1.905734 -0.2 0.2 -0.1
H -2.337661 2.159342 0.618427 -0.1 -0.3 0.0
H -4.781293 -0.937612 -0.827662 0.1 -0.1 0.3
H -3.551269 -2.237643 -0.609975 -0.2 0.4 0.1
H -4.229414 -1.420032 0.829338 -0.1 0.0 -0.3
H -1.127915 -1.826168 -2.572641 -1.4 -1.2 0.6
C 1.395088 -4.713805 0.028395 -0.2 0.2 -0.6
C 1.251081 -3.783846 1.236734 0.2 0.2 0.7
C 0.389900 -4.405586 2.337270 -0.5 -0.1 0.3
C 2.614829 -3.417376 1.821212 0.5 0.2 0.1
C 0.583860 -2.548533 0.800334 -0.1 -0.2 -1.1
C 0.018026 -1.751583 0.009772 0.2 -0.7 0.7
H 1.845025 -5.674407 0.301695 -0.1 0.3 0.2
H 2.026102 -4.237775 -0.731527 -0.1 -0.2 0.1
H 0.412809 -4.902276 -0.420007 0.2 -0.1 0.1
H 0.777594 -5.380247 2.652141 0.1 0.2 -0.1
H 0.375587 -3.741623 3.208326 0.0 -0.2 -0.1
H -0.643273 -4.538544 2.001712 0.1 -0.1 0.0
H 3.221336 -2.864543 1.096278 0.0 -0.2 0.0
H 2.486897 -2.781239 2.704249 0.1 -0.2 -0.1
H 3.166542 -4.317614 2.117244 -0.2 0.2 -0.1

=====

(2)
62
Properties=species:S:1:pos:R:3:forces:R:3 method="wB97M-V/def2-TZVPD" lumo_energy_ev=-2.37 homo_lumo_gap_ha=0.334 molar_mass_g_mol=545.3 homo_energy_ev=-11.5 total_charge=+1
C -1.407160 -0.178633 5.341448 -0.4 -0.2 0.7
C -0.866822 -1.063477 4.089618 -0.2 1.0 0.0
Br -2.470418 -1.467950 2.919276 0.4 -0.3 1.2
C 0.186568 -0.164427 3.212520 -0.6 0.1 0.9
In fact, at one point the court had ordered (order dated 28.10.2013) that the accused could not leave the country without court permission. But later relaxed this direction on the contemnors request for urgent business travel. Third, the conduct of the contemnors was abrasive and disrespectful to constitutional courts and statutory bodies. There was repeated stonewalling by the contemnors against SEBI’s inquiries.
In spite of repeated requests the aforesaid companies gave few details on the investors, details on applications and subscriptions etc. Every tactic possible to disregard institutions was made. In fact, even though High courts have no jurisdiction on issued regulated by the SEBI Act yet orders of such nature were assailed by Sahara at the Allahabad High Court. Fourth, the contemnors systematically frustrated the orders of the court. And Article 142 and Article 129 of the constitution provides exceptional power to the court power to compel obedience and observance of judicial orders so as to do complete justice.
The judgment ended by asking what a judge should be made off to deal with litigants who have nothing to lose. That today there is a superhuman amount of grit and composure required by judges.
On May 7, 2015, Justice J.S. Kehar asked for recusal from the Sahara case and a week later Justice K.S. Radhakrishna retired from the Supreme Court of India. On the day of his retirement he went on record to say that the bench was under great pressure and thanked Justice J.S. Kehar for being brave.
Now 18 months later, there is barely any progress in getting the billionaire to furnish the bail amount. Yet another new bench headed by Chief Justice T.S. Thakur has had a confrontation with Counsels appearing for Sahara. This time regarding extension of Roy’s parole. Following an argument on the conduct of the contemnor the bench passed an order denying Roy parole. However, later that day Kapil Sibal tendered an apology and this order was modified and parole was extended.
Over the last few years SEBI’s counsel has consistently maintained that rarely do the properties of Sahara have a clean title and it is difficult to auction such assets. Lawyers from Sahara insist that there is plenty to sell but if only Roy can negotiate as a free man. In the meanwhile the properties that are put up for sale attract all kinds of buyers and curiously the deals never go through.
The argument that the incarceration of the Sahara chief is a result of misuse of the law is incorrect. From K.M. Abraham’s detailed SEBI order in 2011 to the High court’s various strictures against Sahara to the disobedience of Supreme Court orders, the detention order was a necessity. The courts promise of justice cannot be seen to be held to ransom by the powerfuls ability to maneuver the legal process.
(Abhik Chimni is a lawyer)
(Editor’s note: The Supreme Court is expected to hear Sahara Group chief Subrata Roy's plea for extension of his interim parole on Wednesday.)